********
KMg6B | PBE-GGA | relaxed

Properties
**E_tot**: -29.90 eV per cell
**M_tot**: 0.00 μB per formula unit
**Calculated volume**: 24.75 A^3/atom
**Energy relative to the lowest polymorph listed for this composition**: 0 meV per atom

Cell and atoms, written as CIF:
```
data_KMg6B
_chemical_formula_sum 'K2 Mg12 B2'
_symmetry_space_group_name_H-M 'P 1'
_symmetry_Int_Tables_number 1
_cell_length_a 3.107
_cell_length_b 6.489
_cell_length_c 19.639
_cell_angle_alpha 90.00
_cell_angle_beta 90.00
_cell_angle_gamma 90.00
loop_
_symmetry_equiv_pos_as_xyz
'x,y,z'
loop_
_atom_site_label
_atom_site_type_symbol
_atom_site_fract_x
_atom_site_fract_y
_atom_site_fract_z
_atom_site_occupancy
Mg1 Mg 0.000 0.759 0.599 1
Mg2 Mg 0.000 0.741 0.099 1
Mg3 Mg 0.000 0.241 0.599 1
Mg4 Mg 0.500 0.000 0.208 1
********

Please reproduce the rows above word for word.

KMg6B | PBE-GGA | relaxed

Properties
**E_tot**: -29.90 eV per cell
**M_tot**: 0.00 μB per formula unit
**Calculated volume**: 24.75 A^3/atom
**Energy relative to the lowest polymorph listed for this composition**: 0 meV per atom

Cell and atoms, written as CIF:
```
data_KMg6B
_chemical_formula_sum 'K2 Mg12 B2'
_symmetry_space_group_name_H-M 'P 1'
_symmetry_Int_Tables_number 1
_cell_length_a 3.107
_cell_length_b 6.489
_cell_length_c 19.639
_cell_angle_alpha 90.00
_cell_angle_beta 90.00
_cell_angle_gamma 90.00
loop_
_symmetry_equiv_pos_as_xyz
'x,y,z'
loop_
_atom_site_label
_atom_site_type_symbol
_atom_site_fract_x
_atom_site_fract_y
_atom_site_fract_z
_atom_site_occupancy
Mg1 Mg 0.000 0.759 0.599 1
Mg2 Mg 0.000 0.741 0.099 1
Mg3 Mg 0.000 0.241 0.599 1
Mg4 Mg 0.500 0.000 0.208 1